Source
-- begin --
[1]
Formula: C6H27NO8
Source: OMol25
Level of theory: ωB97M-V with the def2-TZVPD basis set

SMILES string: CCCCNCC=O.O.O.O.O.O.O.O
Net charge: 0
Energy relative to the best compared isomer or geometry (same formula, charge and spin) in eV: 2.747

Geometry as XYZ:
```
42
Properties=species:S:1:pos:R:3:forces:R:3
C 3.256 0.280 1.137 -1.510 1.820 1.849
C 2.600 0.020 -0.217 3.436 -0.455 -0.374
C 2.919 -1.396 -0.721 -2.252 -2.203 1.952
C 2.217 -2.467 0.223 0.530 -0.666 1.527
N 0.763 -2.393 0.449 0.389 -0.170 -0.513
C 0.019 -3.028 -0.634 -0.504 1.411 -1.016
C -1.458 -2.738 -0.371 0.034 0.015 0.003
O -2.012 -1.756 -0.804 0.172 0.099 -0.220
H 4.152 0.850 1.342 0.903 -0.266 -1.318
H 3.321 -0.588 1.764 -0.104 -0.520 0.329
H 2.598 1.025 1.676 0.101 -0.998 -0.222
H 3.145 0.613 -0.941 -0.514 0.836 -0.235
H 1.597 0.375 -0.124 -0.409 -0.847 -0.717
H 3.957 -1.720 -0.671 0.281 0.744 -0.100
H 2.550 -1.643 -1.706 -0.025 0.453 -0.576
H 2.433 -3.528 -0.013 -0.033 0.559 -0.608
H 2.620 -2.462 1.266 0.168 0.575 -0.790
H 0.508 -1.409 0.548 -0.175 -0.364 -0.195
H 0.243 -4.077 -0.781 -0.008 -0.412 0.760
H 0.266 -2.598 -1.631 -0.267 0.100 0.299
H -2.048 -3.381 0.299 0.277 -0.342 0.075
O -0.102 1.451 1.838 0.278 -1.434 0.351
H 0.177 0.901 2.587 0.054 0.400 0.086
H -0.710 0.835 1.389 -0.261 0.285 0.114
O -2.041 3.334 -1.215 -0.482 0.026 0.059
H -2.626 2.714 -1.678 0.213 0.065 0.006
H -1.299 3.527 -1.791 0.033 -0.081 -0.107
O -2.876 0.472 1.734 -0.222 0.187 -0.220
H -2.914 1.449 1.639 0.259 0.151 0.107
H -3.536 0.292 2.409 0.012 -0.195 0.015
O -2.156 3.103 1.692 -0.763 -0.301 0.863
H -1.309 2.624 1.831 -0.250 1.078 -0.622
H -2.181 3.726 0.958 0.677 -0.478 -0.230
O -0.710 0.320 -2.429 0.324 0.101 0.119
H 0.221 0.083 -2.310 -0.272 -0.078 -0.123
H -1.216 -0.313 -1.895 0.044 -0.079 -0.023
O -4.011 0.917 -1.309 0.036 0.173 -0.076
H -3.703 0.953 -0.395 0.000 -0.234 0.057
H -3.971 -0.015 -1.549 0.079 0.047 0.100
O 0.617 2.223 -0.588 0.080 0.240 -0.656
H -0.011 1.780 -1.181 -0.034 0.088 0.176
H 0.711 1.644 0.174 -0.291 0.670 0.092
```
Positions in Å, forces in eV/Å.

Atom charges from the natural (NBO) analysis, given in e for atoms 1 to 2: atom 1 (C): -0.641, atom 2 (C): -0.417

---

[2]
Formula: C5H8O
Source: OMol25
Level of theory: ωB97M-V with the def2-TZVPD basis set

Net charge: 0
Energy relative to the best compared isomer or geometry (same formula, charge and spin) in eV: 3.180

Geometry as XYZ:
```
14
Properties=species:S:1:pos:R:3:forces:R:3
C 1.471 0.465 0.450 -0.073 -0.025 0.056
C 0.192 0.321 -0.382 -0.215 0.017 0.001
C -0.262 -1.128 -0.696 -0.026 -0.279 0.021
C -1.452 -1.471 0.206 0.972 -0.102 0.655
O -1.520 -0.454 1.045 -0.733 -0.385 -0.567
C -1.106 0.734 0.297 0.036 0.257 -0.141
H 1.403 -0.087 1.394 -0.043 0.049 -0.118
H 1.674 1.516 0.689 -0.095 -0.179 -0.043
H 2.345 0.084 -0.094 -0.253 0.019 0.056
H 0.303 0.891 -1.311 -0.036 -0.099 0.110
H 0.415 -1.904 -0.299 0.196 0.144 -0.250
H -0.392 -1.343 -1.761 -0.130 -0.044 0.234
H -1.879 0.762 -0.470 0.025 0.751 -0.108
H -1.192 1.614 0.932 0.375 -0.124 0.094
```
Positions in Å, forces in eV/Å.

Atom charges from the natural (NBO) analysis, given in e for atoms 1 to 2: atom 1 (C): -0.610, atom 2 (C): -0.264

---

[3]
Formula: C3H4N2O4S
Source: OMol25
Level of theory: ωB97M-V with the def2-TZVPD basis set

Net charge: 0
Energy relative to the best compared isomer or geometry (same formula, charge and spin) in eV: 4.274

Geometry as XYZ:
```
14
Properties=species:S:1:pos:R:3:forces:R:3
C -1.126 -1.086 0.416 0.119 1.826 -0.486
C 1.065 0.874 -0.205 -0.282 1.136 -1.993
C 1.252 -0.527 0.378 0.590 -0.733 -1.945
N -0.114 1.458 0.352 -1.033 -0.234 0.056
N 0.135 -1.326 -0.089 -0.615 -1.093 2.080
O -2.574 1.352 0.628 -0.065 -0.055 0.037
O 0.220 -1.974 -1.130 0.102 -0.674 -1.484
O -2.059 -1.458 0.995 0.075 -1.280 0.404
O -1.696 0.747 -1.570 0.082 -0.376 -1.744
S -1.476 0.977 -0.196 0.620 0.912 1.778
H 1.811 1.443 0.265 1.519 0.825 0.261
H 1.130 1.059 -1.350 0.046 -1.062 1.769
H 2.150 -1.125 0.083 -0.690 0.852 -0.157
-- stop --
Job
Transcribe the entries earlier on with every line break kept.
Solution
[1]
Formula: C6H27NO8
Source: OMol25
Level of theory: ωB97M-V with the def2-TZVPD basis set

SMILES string: CCCCNCC=O.O.O.O.O.O.O.O
Net charge: 0
Energy relative to the best compared isomer or geometry (same formula, charge and spin) in eV: 2.747

Geometry as XYZ:
```
42
Properties=species:S:1:pos:R:3:forces:R:3
C 3.256 0.280 1.137 -1.510 1.820 1.849
C 2.600 0.020 -0.217 3.436 -0.455 -0.374
C 2.919 -1.396 -0.721 -2.252 -2.203 1.952
C 2.217 -2.467 0.223 0.530 -0.666 1.527
N 0.763 -2.393 0.449 0.389 -0.170 -0.513
C 0.019 -3.028 -0.634 -0.504 1.411 -1.016
C -1.458 -2.738 -0.371 0.034 0.015 0.003
O -2.012 -1.756 -0.804 0.172 0.099 -0.220
H 4.152 0.850 1.342 0.903 -0.266 -1.318
H 3.321 -0.588 1.764 -0.104 -0.520 0.329
H 2.598 1.025 1.676 0.101 -0.998 -0.222
H 3.145 0.613 -0.941 -0.514 0.836 -0.235
H 1.597 0.375 -0.124 -0.409 -0.847 -0.717
H 3.957 -1.720 -0.671 0.281 0.744 -0.100
H 2.550 -1.643 -1.706 -0.025 0.453 -0.576
H 2.433 -3.528 -0.013 -0.033 0.559 -0.608
H 2.620 -2.462 1.266 0.168 0.575 -0.790
H 0.508 -1.409 0.548 -0.175 -0.364 -0.195
H 0.243 -4.077 -0.781 -0.008 -0.412 0.760
H 0.266 -2.598 -1.631 -0.267 0.100 0.299
H -2.048 -3.381 0.299 0.277 -0.342 0.075
O -0.102 1.451 1.838 0.278 -1.434 0.351
H 0.177 0.901 2.587 0.054 0.400 0.086
H -0.710 0.835 1.389 -0.261 0.285 0.114
O -2.041 3.334 -1.215 -0.482 0.026 0.059
H -2.626 2.714 -1.678 0.213 0.065 0.006
H -1.299 3.527 -1.791 0.033 -0.081 -0.107
O -2.876 0.472 1.734 -0.222 0.187 -0.220
H -2.914 1.449 1.639 0.259 0.151 0.107
H -3.536 0.292 2.409 0.012 -0.195 0.015
O -2.156 3.103 1.692 -0.763 -0.301 0.863
H -1.309 2.624 1.831 -0.250 1.078 -0.622
H -2.181 3.726 0.958 0.677 -0.478 -0.230
O -0.710 0.320 -2.429 0.324 0.101 0.119
H 0.221 0.083 -2.310 -0.272 -0.078 -0.123
H -1.216 -0.313 -1.895 0.044 -0.079 -0.023
O -4.011 0.917 -1.309 0.036 0.173 -0.076
H -3.703 0.953 -0.395 0.000 -0.234 0.057
H -3.971 -0.015 -1.549 0.079 0.047 0.100
O 0.617 2.223 -0.588 0.080 0.240 -0.656
H -0.011 1.780 -1.181 -0.034 0.088 0.176
H 0.711 1.644 0.174 -0.291 0.670 0.092
```
Positions in Å, forces in eV/Å.

Atom charges from the natural (NBO) analysis, given in e for atoms 1 to 2: atom 1 (C): -0.641, atom 2 (C): -0.417

---

[2]
Formula: C5H8O
Source: OMol25
Level of theory: ωB97M-V with the def2-TZVPD basis set

Net charge: 0
Energy relative to the best compared isomer or geometry (same formula, charge and spin) in eV: 3.180

Geometry as XYZ:
```
14
Properties=species:S:1:pos:R:3:forces:R:3
C 1.471 0.465 0.450 -0.073 -0.025 0.056
C 0.192 0.321 -0.382 -0.215 0.017 0.001
C -0.262 -1.128 -0.696 -0.026 -0.279 0.021
C -1.452 -1.471 0.206 0.972 -0.102 0.655
O -1.520 -0.454 1.045 -0.733 -0.385 -0.567
C -1.106 0.734 0.297 0.036 0.257 -0.141
H 1.403 -0.087 1.394 -0.043 0.049 -0.118
H 1.674 1.516 0.689 -0.095 -0.179 -0.043
H 2.345 0.084 -0.094 -0.253 0.019 0.056
H 0.303 0.891 -1.311 -0.036 -0.099 0.110
H 0.415 -1.904 -0.299 0.196 0.144 -0.250
H -0.392 -1.343 -1.761 -0.130 -0.044 0.234
H -1.879 0.762 -0.470 0.025 0.751 -0.108
H -1.192 1.614 0.932 0.375 -0.124 0.094
```
Positions in Å, forces in eV/Å.

Atom charges from the natural (NBO) analysis, given in e for atoms 1 to 2: atom 1 (C): -0.610, atom 2 (C): -0.264

---

[3]
Formula: C3H4N2O4S
Source: OMol25
Level of theory: ωB97M-V with the def2-TZVPD basis set

Net charge: 0
Energy relative to the best compared isomer or geometry (same formula, charge and spin) in eV: 4.274

Geometry as XYZ:
```
14
Properties=species:S:1:pos:R:3:forces:R:3
C -1.126 -1.086 0.416 0.119 1.826 -0.486
C 1.065 0.874 -0.205 -0.282 1.136 -1.993
C 1.252 -0.527 0.378 0.590 -0.733 -1.945
N -0.114 1.458 0.352 -1.033 -0.234 0.056
N 0.135 -1.326 -0.089 -0.615 -1.093 2.080
O -2.574 1.352 0.628 -0.065 -0.055 0.037
O 0.220 -1.974 -1.130 0.102 -0.674 -1.484
O -2.059 -1.458 0.995 0.075 -1.280 0.404
O -1.696 0.747 -1.570 0.082 -0.376 -1.744
S -1.476 0.977 -0.196 0.620 0.912 1.778
H 1.811 1.443 0.265 1.519 0.825 0.261
H 1.130 1.059 -1.350 0.046 -1.062 1.769
H 2.150 -1.125 0.083 -0.690 0.852 -0.157